(Excerpt)
'''
1.
CH17O10V as an isolated structure, computed with the ωB97M-V functional and the def2-TZVPD basis.

Geometry as XYZ:
```
29
Properties=species:S:1:pos:R:3:forces:R:3
O -9.46882 1.37899 23.48418 -1.5 1.9 1.4
V -10.23607 0.06681 23.07588 -14.6 8.3 2.7
O -10.74827 0.28391 21.54940 -2.0 0.0 1.2
C -8.81567 -1.78565 22.26457 1.0 -4.0 -0.4
O -8.93032 -0.44347 22.62638 13.8 -9.8 -4.0
H -7.99902 -1.92341 21.55591 -1.3 -0.4 -0.2
H -8.44015 -2.41084 23.07464 -0.6 0.2 0.6
H -9.68150 -2.33159 21.88988 -0.3 0.6 0.0
O -7.25303 -0.93834 24.28915 0.6 0.0 1.2
H -6.77452 -1.53398 23.71256 0.6 -0.4 0.1
H -8.12476 -0.87517 23.89886 1.0 0.3 1.1
O -11.37971 -3.89294 22.17474 0.1 0.3 0.4
H -11.02651 -4.67172 21.74463 0.1 -0.3 -0.1
H -11.34403 -3.21122 21.50376 -0.3 0.0 -0.4
O -6.18594 -1.40426 21.38569 4.8 6.6 5.1
H -5.47663 -0.77609 21.24964 0.4 0.3 0.2
H -6.95560 -0.86288 21.56112 1.9 -0.3 0.2
O -8.91774 -0.76198 19.98855 -2.5 1.4 0.0
H -8.79404 0.15462 20.23507 -0.1 0.6 -0.3
H -9.56052 -1.09437 20.61511 -0.7 0.6 -0.8
O -6.98986 -1.81510 19.54838 -0.6 -2.3 -5.1
H -6.77250 -1.38448 20.37515 -0.7 -0.5 -4.0
H -7.92728 -1.65805 19.43519 0.8 -0.4 -1.0
O -7.00367 0.52755 21.82419 0.6 4.1 -0.7
H -7.64360 -0.11713 22.12600 -0.9 2.2 1.2
H -6.98458 1.18882 22.51600 -0.2 0.3 0.4
O -6.05151 -3.43226 21.66256 0.3 -6.4 1.7
H -6.96414 -3.63524 21.86784 0.0 -0.6 -0.1
H -6.05647 -2.50069 21.44259 0.6 -2.3 -0.2
```
Positions in Å, forces in eV/Å.

Calculated values
LUMO energy, Eh: -0.0992
HOMO-LUMO gap, eV: 6.407

Löwdin population analysis, charges in e, atoms 1 to 2: atom 1 (O): -0.26, atom 2 (V): 1.06

***

2.
A 8-piece molecular cluster, CH18NO7 overall, computed with the ωB97M-V functional and the def2-TZVPD basis.

Geometry as XYZ:
```
27
Properties=species:S:1:pos:R:3:forces:R:3
C -1.56908 1.82466 -0.23498 -1.0 -3.7 -1.9
N -1.59428 0.68424 -0.91396 1.7 1.4 2.5
H -0.95937 2.62017 -0.56772 0.3 0.7 -0.2
H -2.25244 1.87295 0.57962 -0.4 0.6 0.5
H -2.10180 -0.15640 -0.42731 0.2 1.4 -0.5
H -0.67977 0.49183 -1.41179 -1.1 -0.1 -0.6
H 1.86056 -1.04518 2.21578 -1.5 1.8 -0.3
H 0.97380 -0.66822 0.98832 0.6 0.7 2.6
O 1.12908 -0.37594 1.98065 1.0 -2.6 -2.2
H 0.57795 2.74769 1.99701 -0.8 -1.6 -2.3
H 0.87711 1.22846 1.70553 -1.3 1.6 -1.4
O 0.40258 2.05788 1.23395 1.9 0.3 4.4
H -0.01625 -3.27680 0.31555 -1.3 0.6 0.4
H -0.25473 -2.61374 1.63528 -0.1 0.3 0.7
O -0.73743 -2.83269 0.84060 1.4 -1.0 -1.1
H -2.12537 -1.85015 0.44482 -0.6 0.3 0.4
H -3.03951 -1.15167 1.50484 0.1 0.1 -0.8
O -2.81962 -1.14576 0.55026 0.3 -0.7 0.5
H 2.68785 -2.38318 -0.28083 0.8 -0.6 0.0
H 1.89678 -1.45346 -1.15465 -0.3 0.7 -1.9
O 1.95990 -1.78180 -0.28434 -0.6 -0.2 1.6
H 1.09283 2.52355 -0.39921 -0.7 0.4 0.7
H 2.32406 1.74079 -0.50431 -0.8 0.4 -1.2
O 1.58705 2.08504 -1.08214 2.2 -0.6 0.4
H 1.16413 0.90956 -2.13105 -0.1 0.2 -0.3
H 0.29768 0.16172 -3.31059 1.4 -0.1 1.9
O 0.75980 0.06383 -2.41293 -1.4 -0.5 -1.8
```
Positions in Å, forces in eV/Å.

Calculated values
LUMO energy, Eh: -0.1368
HOMO-LUMO gap, eV: 11.310
Charge: +1

Löwdin population analysis, charges in e, atoms 1 to 2: atom 1 (C): 0.12, atom 2 (N): 0.16

***

3.
A 8-piece molecular cluster, CH18O8 overall, computed with the ωB97M-V functional and the def2-TZVPD basis.

Geometry as XYZ:
```
27
Properties=species:S:1:pos:R:3:forces:R:3
C 3.76692 -0.07934 -0.49371 1.2 -0.6 -0.8
O 4.50828 -0.89432 -1.48382 -0.9 0.4 1.1
H 3.26336 -0.75834 0.19439 -0.2 0.0 -0.4
H 4.45062 0.49607 0.13043 0.1 0.1 -0.1
H 3.09640 0.59918 -1.02108 -0.2 -0.1 0.2
H 5.28505 -0.41907 -1.78776 -0.1 0.2 0.1
O 0.71752 4.66500 2.70580 0.0 -0.1 0.2
H 1.50349 5.21004 2.66853 0.2 0.1 0.0
H 0.35846 4.70067 1.81922 -0.2 0.0 -0.3
O -5.46031 -1.32054 3.26227 0.1 0.1 0.2
H -5.88492 -0.94179 2.49255 -0.1 0.1 -0.2
H -5.60408 -2.26297 3.17631 0.0 -0.2 0.0
O -0.14524 -4.45342 1.57877 0.1 0.1 -0.2
H -0.10597 -4.07913 2.45889 0.1 0.1 0.2
H -0.99791 -4.88666 1.54005 -0.2 -0.1 0.0
O -1.09358 5.05562 -1.20708 0.2 0.1 0.1
H -1.86564 5.62106 -1.22752 -0.2 0.2 0.0
'''

(Job)
Next, filter the calculation results above: keep the lines with the word "def2-TZVPD".

(Result)
CH17O10V as an isolated structure, computed with the ωB97M-V functional and the def2-TZVPD basis.
A 8-piece molecular cluster, CH18NO7 overall, computed with the ωB97M-V functional and the def2-TZVPD basis.
A 8-piece molecular cluster, CH18O8 overall, computed with the ωB97M-V functional and the def2-TZVPD basis.